Give back the data further down from the first line to the one with "0.246 0.750" without altering anything.
Density functional theory data (PBE-GGA) for a geometry-optimized GaPd10 structure.

Lattice parameters (Å, degrees): 8.738 3.892 32.834 90.00 90.37 90.00
Space group C2/m (No. 12)
Asymmetric unit:
Ga1 0.150 0.000 0.222
Pd1 0.047 0.000 0.679
Pd2 0.048 0.500 0.263
Pd3 0.049 0.500 0.541
Pd4 0.051 0.000 0.404
Pd5 0.148 0.500 0.623
Pd6 0.150 0.000 0.486
Pd7 0.152 0.500 0.348
Pd8 0.154 0.000 0.767
Pd9 0.244 0.500 0.706
Pd10 0.249 0.000 0.569

=====

Density functional theory data (PBE-GGA) for a geometry-optimized GaPd15 structure.

Lattice parameters (Å, degrees): 7.919 45.077 3.926 90.00 90.00 90.00
Space group Pccm (No. 49)
Asymmetric unit:
Ga1 0.166 0.174 0.000
Pd1 0.120 0.210 0.500
Pd2 0.122 0.257 0.000
Pd3 0.124 0.302 0.500
Pd4 0.125 0.346 0.000
Pd5 0.125 0.390 0.500
Pd6 0.125 0.434 0.000
Pd7 0.125 0.478 0.500
Pd8 0.370 0.168 0.500
Pd9 0.370 0.258 0.500
Pd10 0.374 0.302 0.000
Pd11 0.375 0.346 0.500
Pd12 0.375 0.390 0.000
Pd13 0.375 0.434 0.500
Pd14 0.375 0.478 0.000
Pd15 0.380 0.214 0.000

=====

Density functional theory data (PBE-GGA) for a geometry-optimized Ga2Pd3 structure.

Lattice parameters (Å, degrees): 7.168 7.168 2.992 90.00 90.00 90.00
Space group P4/mbm (No. 127)
Asymmetric unit:
Ga1 0.152 0.348 0.000
Pd1 0.000 0.000 0.000
Pd2 0.146 0.646 0.500

=====

Density functional theory data (PBE-GGA) for a geometry-optimized GaPd structure.

Lattice parameters (Å, degrees): 3.115 3.115 3.115 90.00 90.00 90.00
Space group Pm-3m (No. 221)
Asymmetric unit:
Ga1 0.000 0.000 0.000
Pd1 0.500 0.500 0.500

=====

Density functional theory data (PBE-GGA) for a geometry-optimized GaPd3 structure.

Lattice parameters (Å, degrees): 5.636 5.636 30.725 90.00 90.00 90.00
Space group I4_1/acd (No. 142, origin choice 2)
Asymmetric unit:
Ga1 0.000 0.250 0.058
Pd1 0.000 0.250 0.313
Pd2 0.190 0.060 0.125
Pd3 0.250 0.000 0.000

=====

Density functional theory data (PBE-GGA) for a geometry-optimized GaPd15 structure.

Lattice parameters (Å, degrees): 4.811 36.306 4.810 90.00 109.74 90.00
Space group P2/c (No. 13)
Asymmetric unit:
Ga1 0.000 0.217 0.250
Pd1 0.000 0.246 0.750
Pd2 0.000 0.288 0.250
Pd3 0.000 0.326 0.750
Pd4 0.000 0.365 0.250
Pd5 0.000 0.403 0.750
Pd6 0.000 0.442 0.250
Pd7 0.000 0.481 0.750
Pd8 0.500 0.210 0.750
Pd9 0.500 0.246 0.250
Pd10 0.500 0.287 0.750
Pd11 0.500 0.326 0.250
Pd12 0.500 0.364 0.750
Pd13 0.500 0.403 0.250
Pd14 0.500 0.442 0.750
Pd15 0.500 0.481 0.250

=====

Density functional theory data (PBE-GGA) for a geometry-optimized GaPd8 structure.

Lattice parameters (Å, degrees): 8.743 3.877 29.684 90.00 90.19 90.00
Space group C2/m (No. 12)
Asymmetric unit:
Ga1 0.051 0.000 0.254
Pd1 0.050 0.500 0.393
Pd2 0.051 0.000 0.546
Pd3 0.051 0.500 0.701
Pd4 0.149 0.000 0.637
Pd5 0.149 0.500 0.485
Pd6 0.155 0.000 0.333
Pd7 0.247 0.500 0.266
Pd8 0.249 0.000 0.424

=====

Density functional theory data (PBE-GGA) for a geometry-optimized GaPd structure.

Lattice parameters (Å, degrees): 5.140 5.140 5.140 90.00 90.00 90.00
Space group Fm-3m (No. 225)
Asymmetric unit:
Ga1 0.000 0.000 0.000
Pd1 0.000 0.000 0.500

=====

Density functional theory data (PBE-GGA) for a geometry-optimized GaPd structure.

Lattice parameters (Å, degrees): 3.0014 3.0014 3.9790 90.00 90.00 120.00
Space group P-6m2 (No. 187)
Asymmetric unit:
Ga1 0.0000 0.0000 0.0000
Pd1 0.6667 0.3333 0.5000

=====

Density functional theory data (PBE-GGA) for a geometry-optimized GaPd structure.

Lattice parameters (Å, degrees): 4.0242 4.0242 6.5113 90.00 90.00 120.00
Space group P6_3mc (No. 186)
Asymmetric unit:
Ga1 0.3333 0.6667 0.0000
Pd1 0.3333 0.6667 0.3778

=====

Density functional theory data (PBE-GGA) for a geometry-optimized PmGaPd2 structure.

Lattice parameters (Å, degrees): 7.520 7.198 5.721 90.00 90.00 90.00
Space group Pnma (No. 62)
Asymmetric unit:
Pm1 0.032 0.250 0.146
Ga1 0.117 0.750 0.355
Pd1 0.180 0.053 0.589

Output
M_tot (Bohr magnetons per cell): 0.00

=====

Density functional theory data (PBE-GGA) for a geometry-optimized Pm3Ga4Pd2 structure.
Density functional theory data (PBE-GGA) for a geometry-optimized GaPd10 structure.

Lattice parameters (Å, degrees): 8.738 3.892 32.834 90.00 90.37 90.00
Space group C2/m (No. 12)
Asymmetric unit:
Ga1 0.150 0.000 0.222
Pd1 0.047 0.000 0.679
Pd2 0.048 0.500 0.263
Pd3 0.049 0.500 0.541
Pd4 0.051 0.000 0.404
Pd5 0.148 0.500 0.623
Pd6 0.150 0.000 0.486
Pd7 0.152 0.500 0.348
Pd8 0.154 0.000 0.767
Pd9 0.244 0.500 0.706
Pd10 0.249 0.000 0.569

=====

Density functional theory data (PBE-GGA) for a geometry-optimized GaPd15 structure.

Lattice parameters (Å, degrees): 7.919 45.077 3.926 90.00 90.00 90.00
Space group Pccm (No. 49)
Asymmetric unit:
Ga1 0.166 0.174 0.000
Pd1 0.120 0.210 0.500
Pd2 0.122 0.257 0.000
Pd3 0.124 0.302 0.500
Pd4 0.125 0.346 0.000
Pd5 0.125 0.390 0.500
Pd6 0.125 0.434 0.000
Pd7 0.125 0.478 0.500
Pd8 0.370 0.168 0.500
Pd9 0.370 0.258 0.500
Pd10 0.374 0.302 0.000
Pd11 0.375 0.346 0.500
Pd12 0.375 0.390 0.000
Pd13 0.375 0.434 0.500
Pd14 0.375 0.478 0.000
Pd15 0.380 0.214 0.000

=====

Density functional theory data (PBE-GGA) for a geometry-optimized Ga2Pd3 structure.

Lattice parameters (Å, degrees): 7.168 7.168 2.992 90.00 90.00 90.00
Space group P4/mbm (No. 127)
Asymmetric unit:
Ga1 0.152 0.348 0.000
Pd1 0.000 0.000 0.000
Pd2 0.146 0.646 0.500

=====

Density functional theory data (PBE-GGA) for a geometry-optimized GaPd structure.

Lattice parameters (Å, degrees): 3.115 3.115 3.115 90.00 90.00 90.00
Space group Pm-3m (No. 221)
Asymmetric unit:
Ga1 0.000 0.000 0.000
Pd1 0.500 0.500 0.500

=====

Density functional theory data (PBE-GGA) for a geometry-optimized GaPd3 structure.

Lattice parameters (Å, degrees): 5.636 5.636 30.725 90.00 90.00 90.00
Space group I4_1/acd (No. 142, origin choice 2)
Asymmetric unit:
Ga1 0.000 0.250 0.058
Pd1 0.000 0.250 0.313
Pd2 0.190 0.060 0.125
Pd3 0.250 0.000 0.000

=====

Density functional theory data (PBE-GGA) for a geometry-optimized GaPd15 structure.

Lattice parameters (Å, degrees): 4.811 36.306 4.810 90.00 109.74 90.00
Space group P2/c (No. 13)
Asymmetric unit:
Ga1 0.000 0.217 0.250
Pd1 0.000 0.246 0.750